Exercise.
Copy the part of the entries further down that starts with the line with "-8.6545 -0.4332" and stops after the one with "-6.4070 6.7532".

Listing.
/*
C43H66N9O4PS | ωB97M-V with the def2-TZVPD basis set

```
124
Properties=species:S:1:pos:R:3
S -4.0955 0.0893 -1.6863
P 2.1845 1.8940 1.0204
O 5.4005 0.8362 -1.6592
O 5.0643 3.8388 -0.2917
O -3.4081 2.8394 -0.7625
O 5.9142 -1.2731 -0.7169
N -2.1603 3.4438 -2.7166
N -6.6415 -2.3758 -1.6708
N 3.4977 2.8194 -1.9344
N -9.5225 5.7522 0.3822
N -2.6352 2.1774 -2.8593
N -11.0623 -4.0821 1.1746
N 5.9862 -2.6572 4.3649
N 0.5647 1.7547 0.9098
N 4.8264 2.8546 2.7515
C 4.4883 2.8661 -0.8151
C 7.2803 3.7534 3.3574
C 4.3305 -1.0969 -5.6754
C -8.6831 -3.6412 4.0423
C 8.4442 -1.7840 4.9890
C 8.3742 1.8733 2.0395
C -8.4416 6.1504 0.6454
C 1.9269 0.8938 -2.9492
C -3.3682 1.7764 -1.7021
C -2.6911 -0.9923 -1.0735
C 5.9062 3.2511 3.0182
C 5.3071 -1.3039 -3.1075
C -0.2369 -1.6024 -2.9556
C 2.4597 1.7337 -1.6912
C 4.6761 -2.5983 -5.9308
C -9.4878 -4.9274 4.1979
C 4.6709 -0.5171 -4.2781
C 5.6757 -2.7966 -3.3771
C 2.5786 -0.5639 -0.1258
C 9.4281 -2.1647 3.8802
C -1.6437 -2.3569 -3.1646
C -2.6044 -2.3757 -1.8776
C 3.0949 -1.1763 1.2814
C 3.0658 0.9385 -0.4098
C -7.0669 6.6553 0.9799
C 4.6419 1.2681 -0.5022
C 7.0695 -2.2760 4.6397
C -6.0900 6.2863 -0.1388
C -2.6329 3.8538 -1.4174
C 2.6448 -2.4391 1.7705
C 9.5372 -3.6712 3.6702
C -7.2591 -1.4139 -1.3409
C 5.3602 -3.4046 -4.7810
C 0.3303 0.9482 -3.1550
C 5.5598 -0.5788 -1.6943
C -0.1904 -0.3492 -3.9692
C -5.9729 4.7807 -0.3513
C -8.0506 -0.2072 -0.9250
C -8.6545 -0.4332 0.4630
C -9.7052 -5.6578 2.8708
C -9.6035 -1.6266 0.5104
C -10.4648 -4.7765 1.9208
C 8.2635 3.3780 2.2462
H -10.4258 -1.5023 -0.2002
H -0.1893 1.0676 -2.1296
H 2.4600 3.2982 1.0013
H 7.2448 4.8393 3.4756
H 1.5311 2.3737 -1.4298
H -10.0312 -1.7319 1.5094
H 7.4221 1.4386 1.7239
H -9.2013 -2.9157 3.4098
H -1.7173 -0.4038 -1.0069
H 8.6931 1.3728 2.9595
H -8.7466 -5.9280 2.4195
H 7.9555 3.8426 1.3041
H 3.8250 -0.4294 -6.4664
H 10.2696 -3.8939 2.8905
H 0.6045 -2.3217 -3.2888
H -7.1058 7.7407 1.1024
H -6.4070 6.7532 -1.0769
H -9.0875 -2.5612 0.2790
H 5.0208 1.0321 0.5478
H -1.3863 -3.4642 -3.3903
H 4.4316 0.5867 -4.0968
H 2.8995 -1.3133 -0.9426
H -8.9636 -5.5933 4.8898
H -7.8543 -0.5867 1.1946
H 2.2228 -0.2195 -2.8650
H 2.3922 1.3772 -3.8927
H -2.1906 -1.9696 -4.0878
H -10.2731 -6.5769 3.0359
H -5.6443 4.2797 0.5644
H 3.8302 -0.6114 1.9507
H -8.5281 -3.1700 5.0159
H 2.5713 1.3489 2.2890
H 9.2510 3.7786 2.4941
H 6.1744 -3.4013 -2.5544
H -5.1019 6.6894 0.1030
H -7.3904 0.6642 -0.9108
H 1.4261 -0.6490 -0.0785
H -6.9253 4.3423 -0.6609
H 9.1217 -1.6969 2.9390
H 3.9075 2.6297 -2.8687
H -2.3512 -3.2647 -1.2041
H -2.4383 4.8649 -0.9143
H 9.1063 1.6504 1.2596
H 8.5848 -4.1039 3.3534
H -0.0007 -1.3304 -1.8672
H 2.8427 -2.8175 2.8352
H -6.7464 6.2183 1.9296
H 0.4731 -0.5956 -4.8833
H 7.5928 3.3185 4.3108
H 9.8551 -4.1732 4.5892
H 0.1183 1.8834 -3.7997
H -8.8379 -0.0242 -1.6614
H 8.4133 -0.6979 5.1082
H -3.6731 -2.5849 -2.2758
H 0.3121 1.2014 0.0781
H -5.2462 4.5637 -1.1367
H 10.4174 -1.7693 4.1294
H -7.7019 -3.8434 3.6019
H -1.2173 -0.0653 -4.4083
H -9.1987 0.4663 0.7658
H 5.6433 -4.4907 -4.9737
H 8.7519 -2.2209 5.9430
H -2.9680 -1.2656 0.0173
H 2.0944 -3.1776 1.0820
H -10.4547 -4.6882 4.6521
H 4.4234 -3.0641 -6.9374
```

Computed properties:
- frontier orbital gap (eV) = 7.3750
- calculated total energy (a.u.) = -3210.88465
- SMILES = C=CC[C@]1([PH2]=N)[C@H](CCCCCCCSc2nnco2)NC(=O)[C@@H]1OC(=O)c1ccccc1.CCCC#N.CCCC#N.CCCC#N.CCCC#N.CCCC#N
- HOMO (eV) = -7.940
- multiplicity = 1
- net charge = 0

Mulliken atomic charge list, values in e, 8 entries: atom 1 (S): -0.1069, atom 2 (P): 0.6715, atom 3 (O): -0.4573, atom 4 (O): -0.5189, atom 5 (O): -0.2388, atom 6 (O): -0.5645, atom 7 (N): -0.5146, atom 8 (N): -0.5079

---

C19H50Cd2N3O8 | ωB97M-V with the def2-TZVPD basis set

```
82
Properties=species:S:1:pos:R:3
Cd -4.0317 0.8282 1.9815
Cd -1.3393 2.5008 2.5050
O -2.0789 1.1522 0.9753
O 0.6204 -4.4772 0.9564
O 5.0870 1.2537 2.3225
O 2.1511 4.0798 -2.7257
O -4.5101 3.4644 -2.9957
O -4.7567 -0.0258 0.2392
O 3.0308 -3.6568 4.3363
O -3.7384 -2.8240 -1.8370
*/

Result.
C -8.6545 -0.4332 0.4630
C -9.7052 -5.6578 2.8708
C -9.6035 -1.6266 0.5104
C -10.4648 -4.7765 1.9208
C 8.2635 3.3780 2.2462
H -10.4258 -1.5023 -0.2002
H -0.1893 1.0676 -2.1296
H 2.4600 3.2982 1.0013
H 7.2448 4.8393 3.4756
H 1.5311 2.3737 -1.4298
H -10.0312 -1.7319 1.5094
H 7.4221 1.4386 1.7239
H -9.2013 -2.9157 3.4098
H -1.7173 -0.4038 -1.0069
H 8.6931 1.3728 2.9595
H -8.7466 -5.9280 2.4195
H 7.9555 3.8426 1.3041
H 3.8250 -0.4294 -6.4664
H 10.2696 -3.8939 2.8905
H 0.6045 -2.3217 -3.2888
H -7.1058 7.7407 1.1024
H -6.4070 6.7532 -1.0769